Notes from the residency at Köttinspektionen, Uppsala Residency day 1 Tour of venue by AKB. Light and sound boards did not work, AKB to investigate and return. Felt very lost and unproductive. Set myself too high expectations. Arrived with […]
Hi! I have been teaching watercolour painting to adults for about 15 years and am wondering if anyone knows of any good sites for tired teachers who have run out of ideas and need inspiration!
for this reflection i will be using the model for reflection held at 1. what happened? spread over today and yesterday i have made – for the first time – a series of 4 reduction prints. its the first […]
in working with isolation i can start to see how not joining up the sections of the practice feeds my self’s feeling of isolation. there is however an empowering factor to this that i am in control of the non […]
notes notes when the emotions are fresh believe in dreaming recognise the long term commitment to this accept the long periods of time of little or no connection work towards the time punctuations dream to believe this is a solitary […]
Still reading The Disappearance of Rituals… The urge to Produce, to provide Content is rife. But the problem is with the sort of art work I do, if I am too intent on the product and not the process, I […]
in wanting to research isolation, i’ve become aware of how i frame the research being important for eventually talking / sharing about the research. my thinking about what i feel like researching wandering into a paradoxical space – in wanting […]
This week, I deleted the former twitter app off my phone . I used to use it to catch up on activities people I know had written about. I occasionally tweeted about my own work. I liked to discover work […]
in standing still and feeling the loss of both practice momentum and connection to groups through that practice facilitated, i embrace my self and all the now known aspects of my brain that influence all the little things everyday. acknowledging […]
lately i have been feeling that i’ m at a stand still. from a stand still i can: look around me listen to what other people say about past work feel good at being stationary see what resources are near […]
• Attached: records of crystals:
........
# AlPtRh2

Crystalline AlPtRh2 at its relaxed geometry (PBE, the Alexandria database).

Lattice parameters (Å, degrees): 2.8113 2.8113 7.2877 90.00 90.00 90.00
Last column: nearest neighbours and their distance in Å.
Positions (direct):
Pt: 0.5000 0.5000 0.7296  4 Al 2.63, 4 Pt 2.81, 4 Rh 2.85
Al: 0.0000 0.0000 0.4943  4 Rh 2.59, 4 Pt 2.63, 4 Al 2.81
Rh: 0.5000 0.5000 0.2670  4 Al 2.59, 8 Rh 2.74-2.81
Rh: 0.0000 0.0000 0.0091  8 Rh 2.74-2.81, 4 Pt 2.85

ΔE_f in eV/atom: -0.4915
Total energy in eV/atom: -6.6131
DOS(E_F) in states/eV per atom: 1.3139



# K2ThP3Se9

Crystalline K2ThP3Se9 at its relaxed geometry (PBE, the Alexandria database).

Lattice parameters (Å, degrees): 7.9691 10.5812 22.7380 66.70 90.00 90.00
Last column: nearest neighbours and their distance in Å.
Positions (direct):
Se: 0.7177 0.6403 0.9303  1 P 2.24
Se: 0.0182 0.2598 0.9950  1 P 2.22
Se: 0.7823 0.6403 0.4303  1 P 2.24
K: 0.6015 0.5568 0.6750  8 Se 3.47-3.82
Se: 0.6682 0.7258 0.2725  1 P 2.21
Se: 0.7235 0.2888 0.6176  1 P 2.22
K: 0.1015 0.4432 0.8250  8 Se 3.47-3.82
Se: 0.2177 0.3597 0.5697  1 P 2.24
P: 0.3729 0.3754 0.1600  3 Se 2.16-2.24, 1 P 2.28
Se: 0.7069 0.0182 0.9337  1 P 2.22
P: 0.8888 0.9297 0.0135  3 Se 2.19-2.22, 1 P 2.24
Se: 0.7931 0.0182 0.4337  1 P 2.22
P: 0.4166 0.7823 0.8058  3 Se 2.21-2.26, 1 P 2.28
Se: 0.5182 0.7402 0.5050  1 P 2.22
Se: 0.6969 0.9206 0.6065  1 P 2.19
P: 0.9166 0.2177 0.6942  3 Se 2.21-2.26, 1 P 2.28
Se: 0.1682 0.2742 0.2275  1 P 2.21
K: 0.4171 0.7574 0.0020  6 Se 3.33-3.47
Se: 0.8031 0.9206 0.1065  1 P 2.19
P: 0.8729 0.6246 0.3400  3 Se 2.16-2.24, 1 P 2.28
Se: 0.0490 0.0183 0.7095  1 P 2.26
Se: 0.9510 0.9817 0.2905  1 P 2.26
Th: 0.4108 0.1027 0.6460  9 Se 3.01-3.33
Se: 0.6741 0.2050 0.2880  1 P 2.21
Se: 0.2823 0.3597 0.0697  1 P 2.24
Se: 0.1741 0.7950 0.2120  1 P 2.21
Th: 0.5892 0.8973 0.3540  9 Se 3.01-3.33
K: 0.8985 0.5568 0.1750  8 Se 3.47-3.82
Se: 0.3031 0.0794 0.3935  1 P 2.19
Se: 0.2235 0.7112 0.8824  1 P 2.22
Se: 0.5346 0.4322 0.8406  1 P 2.16
P: 0.6112 0.9297 0.5135  3 Se 2.19-2.22, 1 P 2.24
K: 0.0829 0.7574 0.5020  6 Se 3.33-3.47
Se: 0.3259 0.7950 0.7120  1 P 2.21
P: 0.1271 0.3754 0.6600  3 Se 2.16-2.24, 1 P 2.28
Th: 0.9108 0.8973 0.8540  9 Se 3.01-3.33
P: 0.1112 0.0703 0.9865  3 Se 2.19-2.22, 1 P 2.24
Se: 0.9818 0.7402 0.0050  1 P 2.22
Se: 0.7765 0.2888 0.1176  1 P 2.22
K: 0.5829 0.2426 0.9980  6 Se 3.33-3.47
Se: 0.8318 0.7258 0.7725  1 P 2.21
Se: 0.8259 0.2050 0.7880  1 P 2.21
P: 0.5834 0.2177 0.1942  3 Se 2.21-2.26, 1 P 2.28
Se: 0.2765 0.7112 0.3824  1 P 2.22
Se: 0.0346 0.5678 0.6594  1 P 2.16
Se: 0.2069 0.9818 0.5663  1 P 2.22
Th: 0.0892 0.1027 0.1460  9 Se 3.01-3.33
P: 0.6271 0.6246 0.8400  3 Se 2.16-2.24, 1 P 2.28
Se: 0.4654 0.5678 0.1594  1 P 2.16
Se: 0.2931 0.9818 0.0663  1 P 2.22
Se: 0.5490 0.9817 0.7905  1 P 2.26
Se: 0.3318 0.2742 0.7275  1 P 2.21
P: 0.3888 0.0703 0.4865  3 Se 2.19-2.22, 1 P 2.24
P: 0.0834 0.7823 0.3058  3 Se 2.21-2.26, 1 P 2.28
Se: 0.9654 0.4322 0.3406  1 P 2.16
K: 0.3985 0.4432 0.3250  8 Se 3.47-3.82
........
I have been delivering workshops for the local council on a freelance basis. I sent my invoice in on the 4th June and they still haven’t paid me. I have chased it umpteen times now and they’ve had several excuses […]
-- The page is interrupted by calculated crystals --
+++
A relaxed structure of AlCdCuTc, computed with PBE.

Results
As for the density: 8.20 Mg/m³. Its uncorrected energy is -18.05 eV for the cell shown. The calculation puts the relative energy among the computed polymorphs at 0.0 meV per atom.

Cell: 4.416 4.416 4.416 Å, 60.00 60.00 60.00°
Atoms (fractional coordinates):
Tc (0.250, 0.250, 0.250)
Al (0.000, 0.000, 0.000)
Cu (0.750, 0.750, 0.750)
Cd (0.500, 0.500, 0.500)

=====

A relaxed structure of GdHoTm2In2, computed with PBE.

Results
As for the density: 8.90 Mg/m³. Its uncorrected energy is -25.75 eV for the cell shown.

Cell: 5.352 5.352 6.689 Å, 90.00 90.00 120.00°
Atoms (fractional coordinates):
Gd (0.000, 0.000, 0.000)
In (0.333, 0.667, 0.250)
In (0.667, 0.333, 0.750)
Ho (0.000, 0.000, 0.500)
Tm (0.333, 0.667, 0.750)
Tm (0.667, 0.333, 0.250)

=====

A relaxed structure of Ac2BeOs2, computed with PBE.

Results
As for the density: 11.98 Mg/m³. Its uncorrected energy is -66.78 eV for the cell shown.

Cell: 5.970 5.970 10.401 Å, 90.00 90.00 140.90°
Atoms (fractional coordinates):
Ac (0.640, 0.360, 0.586)
Ac (0.360, 0.640, 0.414)
Ac (0.640, 0.360, 0.914)
Ac (0.360, 0.640, 0.086)
Be (0.384, 0.616, 0.750)
Be (0.616, 0.384, 0.250)
Os (0.070, 0.930, 0.375)
Os (0.930, 0.070, 0.875)
Os (0.930, 0.070, 0.625)
Os (0.070, 0.930, 0.125)

=====

A relaxed structure of BaFeAuSe3, computed with PBE.

Results
As for the density: 7.07 Mg/m³. Its uncorrected energy is -110.55 eV for the cell shown. The calculation puts the relative energy among the computed polymorphs at 0.0 meV per atom.

Cell: 13.820 4.146 10.286 Å, 90.00 90.00 90.00°
Last column: magnetic moment on the atom in μB.
Atoms (fractional coordinates):
Se (0.640, 0.750, 0.776)  0.11
Se (0.860, 0.250, 0.276)  0.11
Se (0.417, 0.750, 0.938)  0.13
Se (0.083, 0.250, 0.438)  0.13
Se (0.610, 0.750, 0.343)  0.07
Se (0.140, 0.750, 0.724)  0.11
Se (0.110, 0.750, 0.157)  0.08
Se (0.360, 0.250, 0.224)  0.11
Se (0.917, 0.750, 0.562)  0.13
Se (0.390, 0.250, 0.657)  0.07
Se (0.583, 0.250, 0.062)  0.13
Se (0.890, 0.250, 0.843)  0.08
Au (0.495, 0.250, 0.402)  0.07
Au (0.995, 0.250, 0.098)  0.07
Au (0.005, 0.750, 0.902)  0.07
Au (0.505, 0.750, 0.598)  0.07
Ba (0.731, 0.250, 0.557)  0.04
Ba (0.769, 0.750, 0.057)  0.04
Ba (0.231, 0.250, 0.943)  0.04
Ba (0.269, 0.750, 0.443)  0.04
Fe (0.985, 0.750, 0.336)  3.23
Fe (0.485, 0.750, 0.164)  3.23
Fe (0.515, 0.250, 0.836)  3.23
Fe (0.015, 0.250, 0.664)  3.23

=====

A relaxed structure of TbScAsO, computed with PBE.

Results
As for the density: 5.67 Mg/m³. Its uncorrected energy is -57.22 eV for the cell shown. The calculation puts the relative energy among the computed polymorphs at 58.7 meV per atom.

Cell: 4.199 6.933 5.931 Å, 90.00 90.00 90.00°
Atoms (fractional coordinates):
O (0.500, 0.164, 0.877)
O (0.500, 0.836, 0.377)
Sc (0.500, 0.901, 0.036)
Sc (0.500, 0.099, 0.536)
Tb (0.000, 0.295, 0.925)
Tb (0.000, 0.705, 0.425)
As (0.000, 0.298, 0.417)
As (0.000, 0.702, 0.917)

=====
+++
Pictures at an Exhibition – how the outsider artist in me is making things harder than they need to be.
**Someone pasted data records at this point:**
This record from Alexandria describes a relaxed structure of ZnRhSe3. The functional is GGA-PBE.

Output
energy relative to the elements, uncorrected	1.993	eV per formula unit
final energy	-3.42	eV/atom

Geometry as CIF:
```
data_ZnRhSe3
_cell_length_a 4.9140
_cell_length_b 4.9140
_cell_length_c 4.9140
_cell_angle_alpha 90.00
_cell_angle_beta 90.00
_cell_angle_gamma 90.00
_space_group_name_H-M_alt 'P m -3 m'
_space_group_IT_number 221
_space_group_name_Hall '-P 4 2 3'
loop_
_atom_site_label
_atom_site_fract_x
_atom_site_fract_y
_atom_site_fract_z
Zn1 0.0000 0.0000 0.0000
Rh1 0.5000 0.5000 0.5000
Se1 0.0000 0.5000 0.5000
```

----------

The following is a DFT calculation (PBE with a Hubbard U) of a relaxed structure of PuUMnO6.

Cell lengths 5.486, 5.486, 9.753 Å; angles 90.00, 90.00, 120.00 degrees
Last column: magnetic moment on the atom in μB.
Fractional positions:
1 Pu 0.000 0.000 0.000  4.30
2 Pu 0.000 0.000 0.500  4.30
3 U 0.667 0.333 0.250  0.23
4 U 0.333 0.667 0.750  0.23
5 Mn 0.333 0.667 0.250  4.54
6 Mn 0.667 0.333 0.750  4.54
7 O 0.669 0.657 0.133  -0.04
8 O 0.987 0.331 0.133  -0.04
9 O 0.331 0.987 0.633  -0.04
10 O 0.013 0.669 0.867  -0.04
11 O 0.343 0.331 0.367  -0.04
12 O 0.987 0.657 0.367  -0.04
13 O 0.657 0.987 0.867  -0.04
14 O 0.669 0.013 0.367  -0.04
15 O 0.013 0.343 0.633  -0.04
16 O 0.343 0.013 0.133  -0.04
17 O 0.657 0.669 0.633  -0.04
18 O 0.331 0.343 0.867  -0.04

Properties
V = 254.25 Å³ per cell
DOS(E_F) = 0.59 states/eV per atom
Magnetization = 18.12 μB/cell
Final energy = -174.9 eV for the cell shown

----------

# SrLi2Ag, relaxed, DFT GGA-PBE
# formation enthalpy at 0 K	-0.03	eV/atom
# uncorrected energy	-2.120	eV per atom
data_SrLi2Ag
_chemical_formula_sum 'Sr1 Li2 Ag1'
_space_group_name_H-M_alt 'P 1'
_space_group_IT_number 1
_cell_length_a 3.779
_cell_length_b 3.775
_cell_length_c 6.949
_cell_angle_alpha 90.00
_cell_angle_beta 90.00
_cell_angle_gamma 90.00
loop_
_space_group_symop_operation_xyz
'x,y,z'
loop_
_atom_site_label
_atom_site_fract_x
_atom_site_fract_y
_atom_site_fract_z
Li1 0.000 0.000 0.574
Ag1 0.500 0.500 0.750
Li2 0.000 0.000 0.926
Sr1 0.500 0.500 0.250

***

# Fe3RePd, relaxed, DFT GGA-PBE
# formation enthalpy at 0 K	1.86	eV/atom
# uncorrected energy	-6.751	eV per atom
data_Fe3RePd
_chemical_formula_sum 'Fe3 Re1 Pd1'
_space_group_name_H-M_alt 'P 1'
_space_group_IT_number 1
_cell_length_a 4.483
_cell_length_b 4.483
_cell_length_c 4.483
_cell_angle_alpha 90.00
_cell_angle_beta 90.00
_cell_angle_gamma 90.00
loop_
_space_group_symop_operation_xyz
'x,y,z'
loop_
_atom_site_label
_atom_site_fract_x
_atom_site_fract_y
_atom_site_fract_z
Pd1 0.000 0.000 0.000
Re1 0.500 0.500 0.500
Fe1 0.500 0.000 0.000
Fe2 0.000 0.500 0.000
Fe3 0.000 0.000 0.500

***

# K3AcS4O12, relaxed, DFT GGA-PBE
# uncorrected energy	-5.491	eV per atom
# formation energy from raw total energies	-26.4	eV/f.u.
data_K3AcS4O12
_chemical_formula_sum 'K3 Ac1 S4 O12'
_space_group_name_H-M_alt 'P 1'
_space_group_IT_number 1
_cell_length_a 7.589
Crossing mediums – connecting the dots between painting, making and exhibiting.